excel vba difference between DateValue and CDate code example

Example: excel vba difference between DateValue and CDate

Inserted here: data records >
'''
A.
The following is a DFT calculation (ωB97M-V/def2-TZVPD) of one molecule with the formula C3H2N2.

Geometry (Å):
1 C 0.9540 1.3373 0.0374
2 C 2.7292 0.7231 0.0117
3 N 2.5946 -0.5535 -0.0418
4 N 1.3681 -0.7967 0.0332
5 C 0.2637 0.1230 0.0029
6 H -0.4534 -0.1217 0.6727
7 H -0.0163 0.0363 -0.9744

For the frontier orbital gap (alpha / beta), the calculation gives 7.3319 / 7.4029 eV. The HOMO energy (alpha / beta) comes out at -9.2 / -9.4 eV. The LUMO energy (alpha / beta) comes out at -1.8666 / -1.9488 eV.



B.
The following is a DFT calculation (ωB97M-V/def2-TZVPD) of C3H2N2 as an isolated structure.

Geometry (Å):
1 C 0.4990 0.5860 0.1275
2 C 1.7847 0.9249 -0.1349
3 C 2.5779 -0.9272 -0.0643
4 N 2.8960 0.2699 0.0794
5 N 0.5301 -0.7169 0.1214
6 H -0.3973 1.3334 0.2064
7 H 0.1663 -1.2319 -0.6520

For the frontier orbital gap (alpha / beta), the calculation gives 8.0213 / 8.0206 eV. The HOMO energy (alpha / beta) comes out at -9.2 / -9.2 eV. The LUMO energy (alpha / beta) comes out at -1.1733 / -1.1749 eV.



C.
The following is a DFT calculation (ωB97M-V/def2-TZVPD) of C3H2N2 as an isolated structure.

Geometry (Å):
1 C 0.8026 0.8111 0.0130
2 C -0.4603 -0.9513 0.0532
3 C -0.5506 1.0280 -0.0050
4 N -1.4431 -0.0453 0.0164
5 N 0.7897 -0.4734 0.0117
6 H 1.4339 1.6794 0.1246
7 H -0.5721 -2.0485 -0.2139

For the frontier orbital gap (alpha / beta), the calculation gives 7.1966 / 7.5961 eV. The HOMO energy (alpha / beta) comes out at -9.7 / -9.7 eV. The LUMO energy (alpha / beta) comes out at -2.5290 / -2.1399 eV.



The structure with the most favorable energy is C; the runner-up is 36.5 kcal/mol above it.



A.
The following is a DFT calculation (ωB97M-V/def2-TZVPD) of one molecule with the formula C3H2N2.

Geometry (Å):
1 N -2.6010 -0.2783 0.3665
2 C -1.5346 0.0114 0.0517
3 N -0.3712 0.2102 -0.4684
4 C 1.0967 -0.6301 -0.1736
5 C 0.8056 0.5703 0.1691
6 H 1.5404 -1.2410 -0.8980
7 H 1.0640 1.3575 0.9526

For the frontier orbital gap, the calculation gives 9.4129 eV. The HOMO energy comes out at -9.4 eV. The LUMO energy comes out at 0.0160 eV.



B.
The following is a DFT calculation (ωB97M-V/def2-TZVPD) of C3H2N2 as an isolated structure.

Geometry (Å):
1 C -0.2327 -0.3961 -0.4936
2 C -0.3621 0.4931 0.4661
3 C -2.0376 0.2057 -1.1323
4 N -2.6663 0.8529 -0.2364
5 N -1.6378 1.0513 0.4832
6 H 0.1874 -1.1524 -1.0676
7 H 0.4261 0.7424 1.1199

For the frontier orbital gap (alpha / beta), the calculation gives 7.3153 / 7.2758 eV. The HOMO energy (alpha / beta) comes out at -8.8 / -8.8 eV. The LUMO energy (alpha / beta) comes out at -1.4737 / -1.4801 eV.



The structure with the most favorable energy is A; the runner-up is 68.5 kcal/mol above it.



A.
The following is a DFT calculation (ωB97M-V/def2-TZVPD) of a 2-piece molecular cluster, C8H7NOS overall.

Geometry (Å):
1 O -1.4122 1.9635 0.4610
2 C -0.2469 1.8730 0.8211
3 C 0.5922 0.7903 0.2858
4 C 1.4968 0.2021 1.1257
5 C 2.3598 -0.7827 0.6198
6 C 2.1446 -1.3680 -0.6273
7 C 1.0895 -0.8139 -1.4105
'''

'Difference between CDate() and DateValue().

'In VBA, these two intrinsic functions seem to do the same
'thing... convert values from different data types into the
'corresponding value of the Date data type.

'But CDate() is more capable; it can retain the time component, if
'the time is included in the source data:

MsgBox CDate(Now)
'will display something like: 3/27/2020 1:04:14 PM 

MsgBox DateValue(Now)
'will not include the time component: 3/27/2020

'The Now() function returns the current date AND time as 
'a Date data type. Both CDate() and DateValue() can handle 
'Date data type inputs, but DateValue() always returns only the date
'component, eliminating the time component.

'DateValue() implicity coerces its argunemt to String. If it can 
'interpret the resulting string as a text date it will, otherwise 
'it returns an error.

'CDate() is again more capable; it tries to interpret the date AND
'time from two perspectives:
'1.) The text string (same as DateValue).
'2.) The numeric value (see below).

'In VBA, the Date data type is handled as a IEEE 64-bit (8-byte)
'floating-point number, which is exactly the same as how the 
'Double data type is managed.

'So values of the Date data type and the Double data type are
'interchangeable with the caveat that Dates are restricted
'to the following roughly 10,000 year
'range of 'January 1, 100' to 'December 31, 9999'.

'But Date data type values are displayed as text even though the
'underlying value is numeric. That is why the two MsgBox examples
'above look like they return text. Date data types display as text
'but the underlying value is actually a floating point number.

'To refer to a Date data type literal in code, surround the literal 
'with # symbols:

MsgBox CDbl(#3/27/2020#)
'will display: 43917

-- What comes next are records of molecules, not part of the entry --
+++
{
  "formula": "C10H23BF7NO5V",
  "method": "wB97M-V/def2-TZVPD",
  "species": ["V", "C", "O", "O", "C", "F", "F", "F", "C", "C", "H", "H", "H", "H", "H", "H", "B", "F", "F", "F", "F", "C", "C", "O", "O", "H", "H", "H", "H", "H", "H", "C", "C", "C", "O", "C", "N", "H", "H", "H", "H", "H", "H", "H", "H", "H", "H", "H"],
  "coordinates": [[-1.261, 0.364, 0.528], [0.351, -0.841, -2.154], [1.401, -1.283, -1.271], [-0.652, -0.326, -1.465], [0.956, 0.124, -3.210], [0.110, 1.150, -3.494], [2.127, 0.700, -2.779], [1.240, -0.484, -4.394], [2.374, -2.102, -1.899], [3.353, -2.629, -0.861], [4.194, -3.073, -1.391], [3.703, -1.816, -0.224], [2.835, -3.397, -0.287], [2.881, -1.552, -2.695], [1.941, -2.989, -2.380], [0.005, -1.704, -2.756], [-2.392, 1.979, 2.633], [-1.507, 2.785, 3.346], [-3.659, 2.010, 3.202], [-2.435, 2.459, 1.298], [-1.916, 0.647, 2.538], [-4.130, -0.429, -0.327], [-3.281, -1.670, -0.200], [-2.328, -1.603, 0.871], [-3.265, 0.729, -0.398], [-4.855, -0.240, 0.473], [-4.724, -0.466, -1.246], [-2.771, -1.800, -1.156], [-3.967, -2.506, -0.037], [-2.044, -2.503, 1.046], [-3.851, 1.484, -0.515], [2.549, 0.190, 2.571], [1.204, 0.531, 1.902], [1.408, 1.578, 0.838], [0.102, 2.007, 0.379], [0.228, 3.065, -0.534], [0.508, -0.690, 1.428], [3.322, -0.183, 1.890], [2.452, -0.704, 3.199], [2.883, 1.036, 3.167], [0.549, 0.875, 2.706], [2.018, 1.187, 0.015], [1.968, 2.442, 1.198], [0.847, 3.892, -0.176], [-0.777, 3.414, -0.773], [0.658, 2.824, -1.517], [0.564, -1.346, 2.203], [1.082, -1.138, 0.708]],
  "mulliken_spin": [2.910, 0.006, 0.006, 0.023, -0.005, 0.000, 0.000, 0.000, 0.000, 0.000, 0.000, 0.000, 0.000, 0.000, 0.000, 0.005, 0.014, 0.000, 0.001, 0.008, -0.002, 0.002, 0.009, -0.004, 0.014, -0.003, -0.001, -0.002, 0.002, 0.003, 0.007, 0.004, -0.001, 0.005, -0.022, 0.026, 0.002, 0.000, 0.000, 0.000, 0.001, -0.010, 0.004, 0.003, -0.007, -0.001, 0.008, -0.003],
  "max_force_ha_per_bohr": 0.0418,
  "de_lowest_kcal_mol": 0.6,
  "homo_energy_ev": [-7.53, -8.93],
  "multiplicity": 4
}

{
  "formula": "C20H18F3O3Zr",
  "method": "wB97M-V/def2-TZVPD",
  "species": ["C", "C", "C", "H", "C", "C", "H", "H", "H", "H", "C", "C", "C", "H", "C", "C", "H", "H", "H", "H", "Zr", "O", "C", "C", "H", "H", "H", "H", "C", "C", "C", "H", "C", "H", "C", "H", "C", "H", "F", "C", "F", "F", "C", "O", "O"],
+++

'This number, 43917, is the number of calendar days since 12/30/1899.

'The Date data type places the time component to the right of
'the decimal point... as the fraction of 1 day:

-- Inserted here: quantum chemistry results --
/*
# 1
This record from the OMol25 dataset describes an isolated ion of composition C3H3F7N2P and charge -1. The level of theory is the ωB97M-V functional and the def2-TZVPD basis.

Last column: Löwdin charge in e.
CARTESIAN COORDINATES (ANGSTROEM)
N (3.3459, 0.1407, 0.3757)  -0.338
P (2.2328, -0.5094, -0.5327)  0.493
N (0.7228, 0.0448, -0.6569)  -0.158
C (0.0562, 0.6348, 0.3211)  -0.627
F (0.5009, 1.9087, 0.7082)  0.027
F (0.0041, -0.0421, 1.5794)  0.001
C (-1.4431, 0.8323, -0.0291)  -0.376
F (-1.5734, 1.4574, -1.2116)  0.123
F (-2.0521, 1.6156, 0.8936)  0.111
C (-2.2836, -0.4954, -0.0987)  -0.532
F (-1.5485, -1.5903, -0.2652)  0.158
F (-3.1662, -0.4394, -1.1121)  0.139
F (-2.9948, -0.6657, 1.0284)  0.141
H (3.5996, -0.4793, 1.1380)  -0.085
H (2.1309, -1.9110, -0.3143)  -0.037
H (2.6076, -0.5211, -1.8922)  -0.041

Summary:
Total charge = -1
Structure (SMILES) = N=[PH2][N-]C(F)(F)C(F)(F)C(F)(F)F
E_LUMO = 0.1392 Eh
Spin multiplicity = 1
Energy relative to the best compared isomer or geometry (same formula, charge and spin) = 0.0 kcal per mole
E_HOMO = -4.561 eV
Frontier orbital gap = 8.35 eV

---

# 2
This record from the OMol25 dataset describes C24H33As2CoN2OP as an isolated structure. The level of theory is the ωB97M-V functional and the def2-TZVPD basis.

Last column: Löwdin spin population.
CARTESIAN COORDINATES (ANGSTROEM)
Co (-0.3512, -0.2024, 0.9132)  2.655
C (3.2181, -1.3303, -0.1507)  0.013
As (1.4170, -1.8232, 0.3982)  0.053
C (1.7578, -3.2739, 1.6449)  0.013
C (0.6405, -2.7159, -1.1496)  0.008
C (1.4723, -3.4695, -1.9737)  0.001
C (0.9447, -4.1379, -3.0683)  0.001
C (-0.4157, -4.0766, -3.3308)  0.001
C (-1.2528, -3.3415, -2.5050)  0.001
C (-0.7280, -2.6465, -1.4179)  0.009
As (-1.9559, -1.5866, -0.3339)  0.060
C (-3.1592, -2.8877, 0.4686)  0.015
C (-3.1288, -0.7173, -1.6192)  0.012
H (3.8486, -2.2172, -0.1713)  0.002
H (3.6386, -0.6274, 0.5668)  0.000
H (3.2030, -0.8775, -1.1400)  0.000
H (2.3572, -4.0348, 1.1478)  0.002
H (0.8230, -3.7235, 1.9759)  0.000
H (2.3065, -2.8961, 2.5074)  0.000
H (2.5315, -3.5462, -1.7613)  0.000
H (1.5982, -4.7100, -3.7129)  0.000
H (-0.8314, -4.5981, -4.1826)  0.000
H (-2.3165, -3.3161, -2.7069)  0.000
H (-3.4923, -3.5832, -0.2997)  0.002
H (-4.0271, -2.3648, 0.8690)  0.000
H (-2.6717, -3.4453, 1.2652)  0.000
H (-3.7103, -1.4713, -2.1461)  0.002
H (-2.5503, -0.1373, -2.3351)  0.000
H (-3.8202, -0.0609, -1.0918)  0.000
C (-0.1388, 2.2518, 3.3758)  0.029
P (-0.7438, 0.5472, 3.1134)  0.112
C (-2.5095, 0.6373, 3.5427)  0.019
C (0.0586, -0.4139, 4.4314)  0.262
C (-0.6772, -1.3102, 5.2396)  0.044
C (-0.0598, -1.9271, 6.2963)  0.105
C (1.3228, -1.7110, 6.5354)  0.303
C (2.0683, -0.8353, 5.7195)  0.055
C (1.4548, -0.2186, 4.6645)  0.091
H (0.8908, 2.3758, 3.0422)  0.000
H (-0.2033, 2.4980, 4.4362)  0.001
H (-0.7769, 2.9337, 2.8110)  0.001
H (-2.6228, 0.9432, 4.5839)  0.003
H (-3.0170, -0.3122, 3.3766)  0.000
H (-2.9754, 1.3954, 2.9102)  0.000
H (-1.7325, -1.4748, 5.0694)  -0.001
H (-0.6358, -2.5718, 6.9481)  0.002
*/
-- Here the piece continues --

'So 7:15 AM on 3/27/2020 is numerically: 
'43917 + 7/24 + 15/(24*60) = 43917.3020833333

MsgBox CDbl(#3/27/2020 7:15#)
'will display: 43917.3020833333

'So while DateValue() cannot handle any numeric input (other than Date
'data types, since Dates display as text), CDate() can successfully
'return a Date for all numeric data types with values
'in the range: -657434.0 to +2958465.999999999767

'As a side note, the DATEVALUE() worksheet function is unrelated
'to the VBA DateValue() function. The DATEVALUE() worksheet function
'returns the integer portion of the above numbers, but only for text 
'arguments that represent dates after December 31, 1899:

=DATEVALUE("January 1, 1900")
'will display: 1


Vb Example